'''
Entry 1:
ZnH7C3NO6 | PBE-GGA | optimized geometry

Lattice parameters (Å, degrees): 12.8143 12.8143 8.2812 90.00 90.00 120.00
With the nearest neighbours (Å) after each atom.
Fractional positions:
O: 0.1723 0.2407 0.7661  1 C 1.28
O: 0.9002 0.3952 0.2698  1 C 1.27
O: 0.5050 0.9002 0.7698  1 C 1.27
O: 0.2751 0.8437 0.2686  1 C 1.26
O: 0.5686 0.7249 0.2686  1 C 1.26
O: 0.0684 0.8277 0.7661  1 C 1.28
O: 0.5710 0.8369 0.0589  1 C 1.28
O: 0.0998 0.6048 0.7698  1 C 1.27
O: 0.4950 0.0998 0.2698  1 C 1.27
O: 0.8277 0.7593 0.2661  1 C 1.28
O: 0.3977 0.9063 0.5600  1 C 1.28
O: 0.7249 0.1563 0.7686  1 C 1.26
O: 0.8437 0.5686 0.7686  1 C 1.26
O: 0.0586 0.2332 0.5559  1 C 1.26
O: 0.9063 0.5086 0.0600  1 C 1.28
O: 0.8369 0.2658 0.5589  1 C 1.28
O: 0.1631 0.7342 0.0589  1 C 1.28
O: 0.2407 0.0684 0.2661  1 C 1.28
O: 0.8253 0.0586 0.0559  1 C 1.26
O: 0.3952 0.4950 0.7698  1 C 1.27
O: 0.1747 0.9414 0.5559  1 C 1.26
O: 0.4290 0.1631 0.5589  1 C 1.28
O: 0.2332 0.1747 0.0559  1 C 1.26
O: 0.7342 0.5710 0.5589  1 C 1.28
O: 0.6023 0.0937 0.0600  1 C 1.28
O: 0.9316 0.1723 0.2661  1 C 1.28
O: 0.5086 0.6023 0.5600  1 C 1.28
O: 0.6048 0.5050 0.2698  1 C 1.27
O: 0.7668 0.8253 0.5559  1 C 1.26
O: 0.0937 0.4914 0.5600  1 C 1.28
O: 0.9414 0.7668 0.0559  1 C 1.26
O: 0.1563 0.4314 0.2686  1 C 1.26
O: 0.7593 0.9316 0.7661  1 C 1.28
O: 0.4914 0.3977 0.0600  1 C 1.28
O: 0.4314 0.2751 0.7686  1 C 1.26
O: 0.2658 0.4290 0.0589  1 C 1.28
Zn: 0.6647 0.9965 0.9132  6 O 2.14-2.16
Zn: 0.3318 0.3353 0.9132  6 O 2.14-2.16
Zn: 0.3353 0.0035 0.4132  6 O 2.14-2.16
Zn: 0.9965 0.3318 0.4132  6 O 2.14-2.16
Zn: 0.0035 0.6682 0.9132  6 O 2.14-2.16
Zn: 0.6682 0.6647 0.4132  6 O 2.14-2.16
C: 0.5160 0.4722 0.1757  1 H 1.10
C: 0.5278 0.0438 0.1757  1 H 1.10
C: 0.1400 0.8510 0.6472  1 H 1.11
C: 0.3767 0.1894 0.6696  1 H 1.10
C: 0.1894 0.8127 0.1696  1 H 1.10
C: 0.1490 0.2890 0.6472  1 H 1.11
C: 0.9562 0.4840 0.1757  1 H 1.10
C: 0.8127 0.6233 0.6696  1 H 1.10
C: 0.8510 0.7110 0.1472  1 H 1.11
C: 0.4840 0.5278 0.6757  1 H 1.10
C: 0.2890 0.1400 0.1472  1 H 1.11
C: 0.4722 0.9562 0.6757  1 H 1.10
C: 0.8106 0.1873 0.6696  1 H 1.10
C: 0.6233 0.8106 0.1696  1 H 1.10
C: 0.7110 0.8600 0.6472  1 H 1.11
C: 0.1873 0.3767 0.1696  1 H 1.10
C: 0.0438 0.5160 0.6757  1 H 1.10
C: 0.8600 0.1490 0.1472  1 H 1.11
H: 0.2122 0.3857 0.6242  1 C 1.11
H: 0.3638 0.7548 0.5049  1 N 1.05
H: 0.6362 0.2452 0.0049  1 N 1.05
H: 0.2777 0.1330 0.6780  1 C 1.10
H: 0.6940 0.4208 0.5037  1 N 1.05
H: 0.8670 0.1447 0.6780  1 C 1.10
H: 0.5792 0.2731 0.5037  1 N 1.05
H: 0.2731 0.6940 0.0037  1 N 1.05
H: 0.0883 0.0299 0.3285  1 N 1.05
H: 0.8266 0.2122 0.1242  1 C 1.11
H: 0.1734 0.7878 0.6242  1 C 1.11
H: 0.3857 0.1734 0.1242  1 C 1.11
H: 0.3333 0.6667 0.3414  1 N 1.02
H: 0.6143 0.8266 0.6242  1 C 1.11
H: 0.4208 0.7269 0.0037  1 N 1.05
H: 0.6667 0.3333 0.3402  1 N 1.02
H: 0.9459 0.4562 0.6930  1 C 1.10
H: 0.7269 0.3060 0.5037  1 N 1.05
H: 0.0583 0.0883 0.8285  1 N 1.05
H: 0.0541 0.5438 0.1930  1 C 1.10
H: 0.3060 0.5792 0.0037  1 N 1.05
H: 0.9117 0.9701 0.8285  1 N 1.05
H: 0.6667 0.3333 0.8414  1 N 1.02
H: 0.5438 0.4897 0.6930  1 C 1.10
H: 0.9417 0.9117 0.3285  1 N 1.05
H: 0.7878 0.6143 0.1242  1 C 1.11
H: 0.4897 0.9459 0.1930  1 C 1.10
H: 0.0000 0.0000 0.4912  1 N 1.02
H: 0.0299 0.9417 0.8285  1 N 1.05
H: 0.3333 0.6667 0.8402  1 N 1.02
H: 0.1330 0.8553 0.1780  1 C 1.10
H: 0.6089 0.3638 0.0049  1 N 1.05
H: 0.0000 0.0000 0.9912  1 N 1.02
H: 0.1447 0.2777 0.1780  1 C 1.10
H: 0.9701 0.0583 0.3285  1 N 1.05
H: 0.5103 0.0541 0.6930  1 C 1.10
H: 0.8553 0.7223 0.6780  1 C 1.10
H: 0.4562 0.5103 0.1930  1 C 1.10
H: 0.7548 0.3911 0.0049  1 N 1.05
H: 0.3911 0.6362 0.5049  1 N 1.05
H: 0.7223 0.8670 0.1780  1 C 1.10
H: 0.2452 0.6089 0.5049  1 N 1.05
N: 0.6667 0.3333 0.4635  4 H 1.02-1.05
N: 0.0000 0.0000 0.8679  4 H 1.02-1.05
N: 0.3333 0.6667 0.9635  4 H 1.02-1.05
N: 0.6667 0.3333 0.9648  4 H 1.02-1.05
N: 0.3333 0.6667 0.4648  4 H 1.02-1.05
N: 0.0000 0.0000 0.3679  4 H 1.02-1.05

Output
E (MP2020) = -663.06 eV/cell
'''
Repeat everything above verbatim, please.
Entry 1:
ZnH7C3NO6 | PBE-GGA | optimized geometry

Lattice parameters (Å, degrees): 12.8143 12.8143 8.2812 90.00 90.00 120.00
With the nearest neighbours (Å) after each atom.
Fractional positions:
O: 0.1723 0.2407 0.7661  1 C 1.28
O: 0.9002 0.3952 0.2698  1 C 1.27
O: 0.5050 0.9002 0.7698  1 C 1.27
O: 0.2751 0.8437 0.2686  1 C 1.26
O: 0.5686 0.7249 0.2686  1 C 1.26
O: 0.0684 0.8277 0.7661  1 C 1.28
O: 0.5710 0.8369 0.0589  1 C 1.28
O: 0.0998 0.6048 0.7698  1 C 1.27
O: 0.4950 0.0998 0.2698  1 C 1.27
O: 0.8277 0.7593 0.2661  1 C 1.28
O: 0.3977 0.9063 0.5600  1 C 1.28
O: 0.7249 0.1563 0.7686  1 C 1.26
O: 0.8437 0.5686 0.7686  1 C 1.26
O: 0.0586 0.2332 0.5559  1 C 1.26
O: 0.9063 0.5086 0.0600  1 C 1.28
O: 0.8369 0.2658 0.5589  1 C 1.28
O: 0.1631 0.7342 0.0589  1 C 1.28
O: 0.2407 0.0684 0.2661  1 C 1.28
O: 0.8253 0.0586 0.0559  1 C 1.26
O: 0.3952 0.4950 0.7698  1 C 1.27
O: 0.1747 0.9414 0.5559  1 C 1.26
O: 0.4290 0.1631 0.5589  1 C 1.28
O: 0.2332 0.1747 0.0559  1 C 1.26
O: 0.7342 0.5710 0.5589  1 C 1.28
O: 0.6023 0.0937 0.0600  1 C 1.28
O: 0.9316 0.1723 0.2661  1 C 1.28
O: 0.5086 0.6023 0.5600  1 C 1.28
O: 0.6048 0.5050 0.2698  1 C 1.27
O: 0.7668 0.8253 0.5559  1 C 1.26
O: 0.0937 0.4914 0.5600  1 C 1.28
O: 0.9414 0.7668 0.0559  1 C 1.26
O: 0.1563 0.4314 0.2686  1 C 1.26
O: 0.7593 0.9316 0.7661  1 C 1.28
O: 0.4914 0.3977 0.0600  1 C 1.28
O: 0.4314 0.2751 0.7686  1 C 1.26
O: 0.2658 0.4290 0.0589  1 C 1.28
Zn: 0.6647 0.9965 0.9132  6 O 2.14-2.16
Zn: 0.3318 0.3353 0.9132  6 O 2.14-2.16
Zn: 0.3353 0.0035 0.4132  6 O 2.14-2.16
Zn: 0.9965 0.3318 0.4132  6 O 2.14-2.16
Zn: 0.0035 0.6682 0.9132  6 O 2.14-2.16
Zn: 0.6682 0.6647 0.4132  6 O 2.14-2.16
C: 0.5160 0.4722 0.1757  1 H 1.10
C: 0.5278 0.0438 0.1757  1 H 1.10
C: 0.1400 0.8510 0.6472  1 H 1.11
C: 0.3767 0.1894 0.6696  1 H 1.10
C: 0.1894 0.8127 0.1696  1 H 1.10
C: 0.1490 0.2890 0.6472  1 H 1.11
C: 0.9562 0.4840 0.1757  1 H 1.10
C: 0.8127 0.6233 0.6696  1 H 1.10
C: 0.8510 0.7110 0.1472  1 H 1.11
C: 0.4840 0.5278 0.6757  1 H 1.10
C: 0.2890 0.1400 0.1472  1 H 1.11
C: 0.4722 0.9562 0.6757  1 H 1.10
C: 0.8106 0.1873 0.6696  1 H 1.10
C: 0.6233 0.8106 0.1696  1 H 1.10
C: 0.7110 0.8600 0.6472  1 H 1.11
C: 0.1873 0.3767 0.1696  1 H 1.10
C: 0.0438 0.5160 0.6757  1 H 1.10
C: 0.8600 0.1490 0.1472  1 H 1.11
H: 0.2122 0.3857 0.6242  1 C 1.11
H: 0.3638 0.7548 0.5049  1 N 1.05
H: 0.6362 0.2452 0.0049  1 N 1.05
H: 0.2777 0.1330 0.6780  1 C 1.10
H: 0.6940 0.4208 0.5037  1 N 1.05
H: 0.8670 0.1447 0.6780  1 C 1.10
H: 0.5792 0.2731 0.5037  1 N 1.05
H: 0.2731 0.6940 0.0037  1 N 1.05
H: 0.0883 0.0299 0.3285  1 N 1.05
H: 0.8266 0.2122 0.1242  1 C 1.11
H: 0.1734 0.7878 0.6242  1 C 1.11
H: 0.3857 0.1734 0.1242  1 C 1.11
H: 0.3333 0.6667 0.3414  1 N 1.02
H: 0.6143 0.8266 0.6242  1 C 1.11
H: 0.4208 0.7269 0.0037  1 N 1.05
H: 0.6667 0.3333 0.3402  1 N 1.02
H: 0.9459 0.4562 0.6930  1 C 1.10
H: 0.7269 0.3060 0.5037  1 N 1.05
H: 0.0583 0.0883 0.8285  1 N 1.05
H: 0.0541 0.5438 0.1930  1 C 1.10
H: 0.3060 0.5792 0.0037  1 N 1.05
H: 0.9117 0.9701 0.8285  1 N 1.05
H: 0.6667 0.3333 0.8414  1 N 1.02
H: 0.5438 0.4897 0.6930  1 C 1.10
H: 0.9417 0.9117 0.3285  1 N 1.05
H: 0.7878 0.6143 0.1242  1 C 1.11
H: 0.4897 0.9459 0.1930  1 C 1.10
H: 0.0000 0.0000 0.4912  1 N 1.02
H: 0.0299 0.9417 0.8285  1 N 1.05
H: 0.3333 0.6667 0.8402  1 N 1.02
H: 0.1330 0.8553 0.1780  1 C 1.10
H: 0.6089 0.3638 0.0049  1 N 1.05
H: 0.0000 0.0000 0.9912  1 N 1.02
H: 0.1447 0.2777 0.1780  1 C 1.10
H: 0.9701 0.0583 0.3285  1 N 1.05
H: 0.5103 0.0541 0.6930  1 C 1.10
H: 0.8553 0.7223 0.6780  1 C 1.10
H: 0.4562 0.5103 0.1930  1 C 1.10
H: 0.7548 0.3911 0.0049  1 N 1.05
H: 0.3911 0.6362 0.5049  1 N 1.05
H: 0.7223 0.8670 0.1780  1 C 1.10
H: 0.2452 0.6089 0.5049  1 N 1.05
N: 0.6667 0.3333 0.4635  4 H 1.02-1.05
N: 0.0000 0.0000 0.8679  4 H 1.02-1.05
N: 0.3333 0.6667 0.9635  4 H 1.02-1.05
N: 0.6667 0.3333 0.9648  4 H 1.02-1.05
N: 0.3333 0.6667 0.4648  4 H 1.02-1.05
N: 0.0000 0.0000 0.3679  4 H 1.02-1.05

Output
E (MP2020) = -663.06 eV/cell